## Excerpt
┌──
This record from the Materials Project database describes an optimized crystal structure of Na4Sn5O12. The functional is PBE-GGA.

Cell and atoms, written as POSCAR:
```
Na4Sn5O12
1.0
5.879 0.000 0.000
2.022 10.048 0.000
2.328 2.796 10.214
Na Sn O
8 10 24
Direct
0.138 0.413 0.400
0.274 0.904 0.024
0.307 0.780 0.553
0.349 0.575 0.110
0.651 0.425 0.890
0.693 0.220 0.447
0.726 0.096 0.976
0.862 0.587 0.600
0.116 0.594 0.852
0.186 0.101 0.682
0.189 0.255 0.935
0.266 0.098 0.268
0.407 0.419 0.645
0.593 0.581 0.355
0.734 0.902 0.732
0.811 0.745 0.065
0.814 0.899 0.318
0.884 0.406 0.148
0.050 0.263 0.298
0.063 0.429 0.778
0.092 0.938 0.373
0.107 0.101 0.868
0.139 0.733 0.949
0.222 0.422 0.012
0.276 0.567 0.485
0.317 0.266 0.571
0.341 0.101 0.081
0.435 0.577 0.731
0.437 0.939 0.658
0.496 0.731 0.190
0.504 0.269 0.810
0.563 0.061 0.342
0.565 0.423 0.269
0.659 0.899 0.919
0.683 0.734 0.429
0.724 0.433 0.515
0.778 0.578 0.988
0.861 0.267 0.051
0.893 0.899 0.132
0.908 0.062 0.627
0.937 0.571 0.222
0.950 0.737 0.702
```

Values from the calculation:
**SG**: No. 2


This record from the Materials Project database describes an optimized crystal structure of LuSi3Ni5. The functional is PBE-GGA.

Cell and atoms, written as POSCAR:
```
LuSi3Ni5
1.0
18.491 0.000 0.000
0.000 3.729 0.000
0.000 0.000 6.659
Lu Si Ni
4 12 20
Direct
0.144 0.250 0.123
0.356 0.750 0.623
0.644 0.250 0.377
0.856 0.750 0.877
0.076 0.750 0.849
0.085 0.750 0.410
0.238 0.250 0.622
0.262 0.750 0.122
0.415 0.250 0.910
0.424 0.250 0.349
0.576 0.750 0.651
0.585 0.750 0.090
0.738 0.250 0.878
0.762 0.750 0.378
0.915 0.250 0.590
0.924 0.250 0.151
0.005 0.750 0.131
0.014 0.250 0.381
0.114 0.250 0.642
0.200 0.750 0.818
0.206 0.750 0.430
0.294 0.250 0.930
0.300 0.250 0.318
0.386 0.750 0.142
0.486 0.750 0.881
0.495 0.250 0.631
0.505 0.750 0.369
0.514 0.250 0.119
0.614 0.250 0.858
0.700 0.750 0.682
0.706 0.750 0.070
0.794 0.250 0.570
0.800 0.250 0.182
0.886 0.750 0.358
0.986 0.750 0.619
0.995 0.250 0.869
```

Values from the calculation:
**SG**: No. 62


This record from the Materials Project database describes an optimized crystal structure of RbSrCl3. The functional is PBE-GGA.

Cell and atoms, written as POSCAR:
```
RbSrCl3
1.0
7.828 0.000 0.000
0.000 7.828 0.000
0.000 0.000 5.759
Rb Sr Cl
2 2 6
Direct
0.000 0.500 0.000
0.500 0.000 0.000
0.000 0.000 0.500
0.500 0.500 0.500
0.000 0.000 0.000
0.174 0.326 0.500
0.326 0.826 0.500
0.500 0.500 0.000
0.674 0.174 0.500
0.826 0.674 0.500
```

Values from the calculation:
**SG**: No. 127


This record from the Materials Project database describes an optimized crystal structure of Na24Ta2Zn10Si9S9O72. The functional is PBE-GGA.

Cell and atoms, written as POSCAR:
```
Na24Ta2Zn10Si9S9O72
1.0
9.197 0.000 0.000
4.578 8.000 0.000
0.272 -0.069 22.091
Na Ta Zn Si S O
24 2 10 9 9 72
Direct
0.000 0.000 0.000
0.002 0.358 0.747
0.049 0.028 0.349
0.052 0.642 0.838
0.300 0.385 0.354
0.304 0.018 0.843
0.333 0.320 0.662
0.335 0.057 0.173
0.336 0.688 0.918
0.346 0.688 0.425
0.365 0.339 0.006
0.376 0.002 0.507
0.666 0.725 0.012
0.671 0.330 0.508
0.678 0.392 0.832
0.684 0.018 0.587
0.685 0.002 0.093
0.688 0.634 0.347
0.728 0.318 0.182
0.738 0.664 0.665
0.958 0.687 0.168
0.963 0.068 0.659
0.987 0.718 0.509
0.999 0.352 0.256
0.335 0.703 0.075
0.342 0.675 0.572
0.007 0.352 0.440
0.011 0.355 0.107
0.041 0.345 0.926
0.345 0.707 0.264
0.347 0.662 0.752
0.680 0.021 0.449
0.682 0.001 0.944
0.692 0.997 0.236
0.694 0.022 0.733
0.999 0.364 0.600
0.015 0.650 0.009
0.017 0.051 0.509
0.040 0.991 0.180
0.044 0.685 0.681
0.307 0.349 0.510
0.310 0.056 0.009
0.645 0.387 0.678
0.645 0.678 0.179
0.708 0.654 0.508
0.347 0.397 0.177
0.349 0.971 0.679
0.387 0.018 0.339
0.388 0.305 0.844
0.672 0.311 0.338
0.677 0.721 0.843
0.707 0.358 0.008
0.970 0.026 0.844
0.981 0.717 0.339
0.027 0.172 0.171
0.036 0.515 0.674
0.056 0.539 0.946
0.064 0.121 0.448
0.140 0.675 0.744
0.141 0.877 0.844
0.149 0.906 0.240
0.154 0.696 0.338
0.155 0.859 0.121
0.160 0.703 0.625
0.189 0.399 0.450
└──

## Exercise
Work out how many lines earlier on have the word "crystal" in them; a number is enough, please.

## Here it is
4